<<<
# 1
Structure and theoretical PXRD pattern of Ca3Zn2In (the PBE geometry in Alexandria; a wavelength of 1.5418 Å).
Peak positions follow from Bragg's law for the DFT cell and can differ from measured ones.

Largest 10 diffraction maxima, sorted by position, 15 to 90 degrees two-theta:
2theta  I_rel
24.10  13
33.61  100
34.27  24
34.43  23
47.16  9
49.37  16
59.58  9
60.95  16
61.16  15
70.66  10

Crystal structure
```
Ca3Zn2In
1.0
2.617 -7.815 0.000
2.617 7.815 0.000
0.000 0.000 3.855
Ca Zn In
3 2 1
Cartesian
0.000 0.000 0.000 Ca
2.617 2.684 0.000 Ca
2.617 -2.684 0.000 Ca
2.617 5.289 1.927 Zn
2.617 -5.289 1.927 Zn
2.617 0.000 1.927 In
```

***

# 2
Structure and theoretical PXRD pattern of Ca8Zn2In (the PBE geometry in Alexandria; a wavelength of 1.5418 Å).
Peak positions follow from Bragg's law for the DFT cell and can differ from measured ones.

Largest 10 diffraction maxima, sorted by position, 15 to 90 degrees two-theta:
2theta  I_rel
19.21  38
20.19  22
28.74  30
29.32  29
30.35  21
30.57  21
32.75  100
33.06  47
36.91  33
39.02  20

Crystal structure
```
Ca8Zn2In
1.0
4.640 -8.773 0.000
4.640 8.773 0.000
-3.164 0.000 4.399
Ca Zn In
8 2 1
Cartesian
0.000 0.000 0.000 Ca
2.644 5.991 1.901 Ca
0.852 3.699 3.951 Ca
0.278 0.000 3.535 Ca
3.589 1.823 2.582 Ca
0.852 -3.699 3.951 Ca
3.589 -1.823 2.582 Ca
2.644 -5.991 1.901 Ca
1.171 2.853 0.842 Zn
1.171 -2.853 0.842 Zn
6.011 0.000 0.985 In
```

***

# 3
Structure and theoretical PXRD pattern of Ca3Zn2In2 (the PBE geometry in Alexandria; a wavelength of 1.5418 Å).
Peak positions follow from Bragg's law for the DFT cell and can differ from measured ones.

Largest 10 diffraction maxima, sorted by position, 15 to 90 degrees two-theta:
2theta  I_rel
21.08  28
23.49  33
31.76  100
33.74  90
35.00  71
42.10  29
42.59  27
55.00  35
60.82  26
63.17  22

Crystal structure
```
Ca3Zn2In2
1.0
2.146 -11.186 0.000
2.146 11.186 0.000
0.000 0.000 3.787
Ca Zn In
3 2 2
Cartesian
0.000 0.000 0.000 Ca
2.146 7.500 0.000 Ca
2.146 -7.500 0.000 Ca
2.146 4.926 1.894 Zn
2.146 -4.926 1.894 Zn
2.146 1.885 1.894 In
2.146 -1.885 1.894 In
```

***

# 4
Structure and theoretical PXRD pattern of Ca6Ir (the PBE geometry in Alexandria; a wavelength of 1.5418 Å).
Peak positions follow from Bragg's law for the DFT cell and can differ from measured ones.

Largest 10 diffraction maxima, sorted by position, 15 to 90 degrees two-theta:
2theta  I_rel
15.53  100
16.43  65
20.95  36
26.35  26
29.47  66
31.35  26
33.33  65
43.68  30
45.89  49
75.71  24

Crystal structure
```
Ca6Ir
1.0
13.015 0.000 0.000
0.000 11.878 0.000
0.000 0.000 6.842
Ca Ir
24 4
Cartesian
0.036 2.969 1.677 Ca
0.052 1.004 5.145 Ca
0.052 4.935 5.145 Ca
3.225 1.021 0.560 Ca
3.225 4.918 0.560 Ca
3.259 2.969 4.033 Ca
3.249 8.908 0.612 Ca
3.282 6.960 3.981 Ca
3.282 10.857 3.981 Ca
6.456 6.943 1.724 Ca
6.456 10.874 1.724 Ca
6.471 8.908 5.098 Ca
6.543 2.969 1.744 Ca
6.559 1.004 5.118 Ca
6.559 4.935 5.118 Ca
9.733 1.021 2.861 Ca
9.733 4.918 2.861 Ca
9.766 2.969 6.230 Ca
9.756 8.908 2.809 Ca
9.790 6.960 6.282 Ca
9.790 10.857 6.282 Ca
12.963 6.943 1.697 Ca
12.963 10.874 1.697 Ca
12.979 8.908 5.165 Ca
1.626 2.969 6.264 Ir
4.881 8.908 2.843 Ir
8.134 2.969 3.999 Ir
11.389 8.908 0.578 Ir
```

***

- Number 2 is which compound?
  Ca8Zn2In

***

Please write out number 1 again, unchanged.
Structure and theoretical PXRD pattern of Ca3Zn2In (the PBE geometry in Alexandria; a wavelength of 1.5418 Å).
Peak positions follow from Bragg's law for the DFT cell and can differ from measured ones.

Largest 10 diffraction maxima, sorted by position, 15 to 90 degrees two-theta:
2theta  I_rel
24.10  13
33.61  100
34.27  24
34.43  23
47.16  9
49.37  16
59.58  9
60.95  16
61.16  15
70.66  10

Crystal structure
```
Ca3Zn2In
1.0
2.617 -7.815 0.000
2.617 7.815 0.000
0.000 0.000 3.855
Ca Zn In
3 2 1
Cartesian
0.000 0.000 0.000 Ca
2.617 2.684 0.000 Ca
2.617 -2.684 0.000 Ca
2.617 5.289 1.927 Zn
2.617 -5.289 1.927 Zn
2.617 0.000 1.927 In
```

* * * * *
>>>

Work out how many lines further up have the word "can" in them; a number is enough.

5